Online entry is open for the Angus Value Discovery Contest until Sept. 7. The nationwide contest will highlight commercial Angus producers aiming for the high-quality beef target.
The AVDC is especially meant for those who use best practices, retain some ownership of calves and receive carcass data. It’s easier than ever to enter. Kara Lee, production brand manager for Certified Angus Beef LLC, says producers can self-nominate this year.
“The biggest difference is that last year we required all entries to be nominated by their seedstock provider, which could have been an Angus breeder or AI company,” she says. “They’ll still be asked to designate one, because a portion of the prize money is in the form of credit toward a purchase from their seedstock provider.”
Despite that change, Lee still asks registered breeders and companies to enter their customers. “You likely know which of them are buying the right kind of bulls and semen to compete, and those who are following their calves through from a data perspective.”
To qualify, an eligible group must consist of 30 head or more, 70 percent sired by Angus bulls with a harvest date spanning more than a year, between Aug. 1, 2017, and Aug. 30, 2018. Groups will rank based on grade, yield, premiums and discounts noted in the packer summary.
Attached: records of molecules:
=====
Record 1
90
Properties=species:S:1:pos:R:3 method="wB97M-V/def2-TZVPD" de_lowest_ev=0.000 e_homo_ha=-0.1413 gap_ha=0.220 e_lumo_ev=2.1281 total_charge=-1 e_tot_ha=-5024.1031
Cs 0.668 -0.759 0.513
C 5.747 1.506 0.193
C 4.318 1.108 -0.065
N 3.649 0.300 0.678
N 4.260 -0.170 1.797
C 3.679 -1.296 2.225
O 2.804 -1.956 1.632
C 4.198 -1.786 3.555
C 5.231 -1.148 4.238
C 5.665 -1.629 5.463
C 5.070 -2.753 6.025
C 4.040 -3.392 5.350
C 3.610 -2.911 4.122
C 3.626 1.660 -1.249
C 4.344 2.326 -2.250
C 3.675 2.846 -3.344
C 2.300 2.700 -3.424
C 1.665 2.022 -2.391
N 2.294 1.516 -1.338
H 6.039 1.126 1.168
H 6.421 1.083 -0.558
H 5.863 2.592 0.171
H 5.678 -0.272 3.789
H 6.470 -1.125 5.986
H 5.407 -3.127 6.985
H 3.568 -4.265 5.783
H 2.808 -3.388 3.574
H 5.416 2.428 -2.169
H 4.224 3.360 -4.124
H 1.725 3.086 -4.255
H 0.590 1.871 -2.426
C -0.580 -4.858 -0.652
P -1.235 -3.285 -1.342
C -3.034 -3.642 -1.288
C -0.936 -3.594 -3.143
C 0.545 -3.659 -3.533
P 1.555 -2.203 -2.980
C 3.062 -2.537 -3.983
C 0.794 -0.923 -4.054
H -0.961 -5.736 -1.181
H -0.860 -4.927 0.400
H 0.510 -4.850 -0.704
H -3.289 -4.601 -1.746
H -3.575 -2.844 -1.798
H -3.352 -3.644 -0.244
H -1.432 -2.786 -3.689
H -1.431 -4.527 -3.435
H 0.627 -3.748 -4.623
H 1.005 -4.555 -3.106
H 2.830 -2.707 -5.038
H 3.585 -3.408 -3.587
H 3.734 -1.681 -3.898
H 0.646 -1.284 -5.076
H 1.452 -0.053 -4.086
H -0.162 -0.586 -3.651
Br -1.578 -2.680 2.468
C -3.135 -1.679 2.956
C -4.118 -2.360 3.615
C -5.270 -1.669 4.042
C -5.378 -0.327 3.815
C -4.355 0.383 3.139
C -4.453 1.782 2.947
C -3.449 2.439 2.294
C -2.344 1.726 1.773
C -2.143 0.362 1.912
C -3.189 -0.290 2.652
H -4.007 -3.417 3.816
H -6.052 -2.209 4.561
H -6.250 0.220 4.158
H -5.316 2.307 3.343
H -3.505 3.520 2.179
H -1.589 2.313 1.244
N -1.758 1.488 -3.297
C -2.229 2.312 -2.633
N -2.766 3.268 -1.903
C -2.006 4.486 -1.609
C -2.394 5.009 -0.237
C -3.897 5.317 -0.141
C -4.729 4.414 -1.066
C -4.072 3.056 -1.262
H -2.202 5.246 -2.376
H -0.943 4.248 -1.642
H -1.805 5.901 -0.017
H -2.120 4.255 0.502
H -4.086 6.363 -0.394
H -4.217 5.183 0.893
H -4.837 4.881 -2.048
H -5.733 4.275 -0.664
H -4.674 2.435 -1.924
H -3.949 2.529 -0.311

Record 2
104
Properties=species:S:1:pos:R:3 method="wB97M-V/def2-TZVPD" de_lowest_ev=0.865 e_homo_ha=-0.3687 gap_ha=0.336 e_lumo_ev=-0.9020 smiles="O=[N+]([O-])c1ccccc1.O=[N+]([O-])c1ccccc1.O=[N+]([O-])c1ccccc1.O=[N+]([O-])c1ccccc1.ClCCCl.ClCCCl.ClCCCl.ClCCCl.ClCCCl.ClCCCl" total_charge=0 e_tot_ha=-7741.0717
Cl -0.128 0.609 4.224
C -1.399 -0.379 3.495
C -0.928 -1.809 3.263
Cl -0.562 -2.596 4.819
H -1.506 0.078 2.511
H -2.288 -0.233 4.101
H 0.016 -1.667 2.742
H -1.666 -2.447 2.791
Cl -4.178 -2.546 -5.000
C -3.244 -2.008 -3.577
C -2.075 -1.141 -3.982
Cl -2.541 0.444 -4.662
H -2.857 -2.891 -3.075
H -3.901 -1.427 -2.936
H -1.340 -1.658 -4.591
H -1.583 -0.868 -3.045
Cl -2.231 6.323 0.458
C -1.693 4.805 1.196
C -2.651 4.205 2.178
Cl -2.793 5.227 3.632
H -0.738 5.095 1.639
H -1.402 4.098 0.417
H -2.381 3.163 2.360
H -3.641 4.114 1.728
Cl -2.957 5.635 -5.361
=====
“As we know Certified Angus Beef brand acceptance rates continue to increase across the industry, rates that used to be considered really outstanding today may be average,” Lee says. “We want to continue to push commercial producers striving for excellent to outpace that average and get better to earn more premiums.”
She says the contest design works to recognize producer effort, and any U.S. commercial producer with cattle meeting the requirements may enter the contest.
“We know a lot of carcass contests are done on a local level,” she says. “We certainly encourage the pursuit of carcass quality no matter where you are or what you’re measuring against. However, this allows producers to compete on a national level.”
First prize wins $2,000 credit towards a future purchase from their designated seedstock provider, and second prize receives $1,000 credit. Three-fourths of the prize money comes from CAB with the rest from their genetics provider.
Top placing producers will earn two full registrations each to the National Angus Convention Nov. 3 to 5, 2018, in Columbus, Ohio. That includes travel credit and formal award recognition.
Find more AVDC details online, and submit entries electronically at For questions, contact Kara Lee at or call 330-345-2333.